‘Citizen journalism’ is a term often associated with misinformation and bias, but as Robin Yapp discovers, new digital technology is enabling volunteer journalists around the world to uncover significant stories of political injustice and corruption
“All journalists are citizens but not all citizens are journalists,” says Afghanistan’s Paiwandgah website, a platform served by more than 750 citizen journalists throughout the country.
Interest in reporting by civilians is growing as internet connections and mobile phones proliferate in all corners of the world. At the same time the very notion of what constitutes citizen journalism and how reliable it is remain matters of debate.
Jay Rosen, who teaches journalism at New York University, has defined citizen journalism as “the people formerly known as the audience employ[ing] the press tools they have in their possession to inform one another”.
Paiwandgah defines it as “original reporting of local events and opinions from citizens on the ground” and says it matters “because journalists cannot be everywhere at once”.
It also matters because of the profound risks many exponents take; 139 citizen journalists have been killed in Syria alone since March 2011, according to freedom of speech non-profit organisation Reporters Without Borders.
As the digital revolution breaks down borders, technology looks certain to ensure that citizen journalism in its widest sense is here to stay. Everyone from disempowered urbanites clutching camera phones to bloggers using open source methods to probe distant conflicts are having their say. Public interest stories in remote or dangerous locations that newspapers and TV stations rarely cover are now more likely to come to light.
In Brazil a group called Papo Reto (meaning ‘Straight Talk’) is highlighting the plight of residents in Rio’s Complexo do Alemão cluster of favelas, where police brutality often leaves innocent people dead. Recent victims include a 72-year-old grandmother and a 10-year-old boy.
“As the digital revolution breaks down borders, technology looks certain to ensure that citizen journalism in its widest sense is here to stay.”
Brazilian police kill around 2,000 people each year according to official statistics, but human rights group WITNESS says the true figure could be far higher.
Papo Reto’s members use smartphones, tablets and the WhatsApp messaging service to gather photos, videos and audio evidence of police raids and their impact on the community, which they post on Facebook and YouTube. But the collective could itself face serious dangers from police impunity or shoot-outs between officers and drug dealers.
WITNESS has partnered with Papo Reto to offer equipment and equally vital advice on how to minimise danger, maintain their right to film and securely upload footage to cloud storage or Dropbox.
Priscila Neri, who oversees WITNESS’ work in Latin America, cited a study of police violence in Rio that found prosecutors dismissed 99.2 percent of cases. Video evidence was often a powerful factor in the few exceptions, she said. Yet harsh reality means her group’s first rule is that citizens should not film unless they feel safe to do so.
In Afghanistan, Paiwandgah – meaning ‘a place to connect’ – is capitalising on the fact that around 70 percent of Afghans are thought to have mobile phones and 1.3 million use social media. Citizens can submit stories in English, Dari or Pashto via phone, SMS, a web form, email, Facebook or Twitter.
-- Calculated crystals from another source follow --
┌──
1.
Compound: Au6C7
Source: Alexandria
Functional: PBE
Structure: optimized geometry

abc: 4.8102 4.8102 33.9700
angles: 90.00 90.00 120.00
Closest atoms and distances in Å follow each position.
Space group R-3m (No. 166, hexagonal axes)
One atom of each set of equivalent atoms:
Au: 0.0000 0.0000 0.0398 (multiplicity 6)  4 Au 2.70-3.01
Au: 0.0000 0.0000 0.2512 (multiplicity 6)  3 C 2.06
Au: 0.0000 0.0000 0.3389 (multiplicity 6)  7 Au 2.80-3.01
C: 0.0000 0.0000 0.5000 (multiplicity 3)  6 C 2.40
C: 0.0974 0.1947 0.4334 (multiplicity 18)  2 C 1.41

Properties
DFT formation energy: 1627 meV/atom
crystal system: trigonal

***

2.
Compound: La3Se3O
Source: Alexandria
Functional: PBE
Structure: optimized geometry

abc: 8.3898 12.4579 7.3352
angles: 90.00 99.36 90.00
Closest atoms and distances in Å follow each position.
Space group C2/m (No. 12)
One atom of each set of equivalent atoms:
La: 0.0993 0.0000 0.3098 (multiplicity 4)  2 O 2.39-2.48
La: 0.1888 0.3490 0.2141 (multiplicity 8)  1 O 2.34
Se: 0.0000 0.1630 0.0000 (multiplicity 4)  6 La 3.06-3.26
Se: 0.0000 0.2309 0.5000 (multiplicity 4)  6 La 3.19-3.36, 2 O 3.35
Se: 0.1060 0.5000 0.8427 (multiplicity 4)  3 La 2.88-3.08, 1 Se 3.13
O: 0.1855 0.0000 0.6375 (multiplicity 4)  4 La 2.34-2.48

Properties
formation energy without anion corrections: -15.9 eV/f.u.
crystal system: monoclinic

***

3.
Compound: Ac6Sn2Pb3
Source: Alexandria
Functional: PBE
Structure: optimized geometry

abc: 6.4269 6.4269 22.8944
angles: 90.00 90.00 90.00
Closest atoms and distances in Å follow each position.
Space group I4/mmm (No. 139)
One atom of each set of equivalent atoms:
Ac: 0.0000 0.0000 0.2049 (multiplicity 4)  1 Sn 3.26, 1 Pb 3.27
Ac: 0.0000 0.5000 0.0874 (multiplicity 8)  2 Sn 3.26, 2 Pb 3.54
Sn: 0.0000 0.0000 0.0627 (multiplicity 4)  1 Sn 2.87
Pb: 0.0000 0.0000 0.3477 (multiplicity 4)  5 Ac 3.27-3.54, 1 Pb 3.49
Pb: 0.0000 0.0000 0.5000 (multiplicity 2)  2 Pb 3.49, 8 Ac 3.79

Properties
DFT formation energy: -202 meV/atom
crystal system: tetragonal

***

4.
Compound: AcDyCoPt
Source: Alexandria
Functional: PBE
Structure: optimized geometry

abc: 7.1545 7.1545 7.1545
angles: 90.00 90.00 90.00
Closest atoms and distances in Å follow each position.
Space group F-43m (No. 216)
One atom of each set of equivalent atoms:
Ac: 0.0000 0.0000 0.0000 (multiplicity 4)  4 Co 3.10, 4 Pt 3.10
Dy: 0.0000 0.0000 0.5000 (multiplicity 4)  4 Co 3.10, 4 Pt 3.10
Co: 0.2500 0.2500 0.7500 (multiplicity 4)  4 Ac 3.10, 4 Dy 3.10
Pt: 0.2500 0.2500 0.2500 (multiplicity 4)  4 Ac 3.10, 4 Dy 3.10

Properties
DFT formation energy: -451 meV/atom
crystal system: cubic

***

5.
Compound: NaAc2Ga3Au4
Source: Alexandria
Functional: PBE
Structure: optimized geometry

abc: 4.6146 4.6146 10.9214
angles: 90.00 90.00 90.00
Closest atoms and distances in Å follow each position.
Space group P-4m2 (No. 115)
One atom of each set of equivalent atoms:
Na: 0.0000 0.0000 0.0000 (multiplicity 1)  4 Au 2.78
└──
Executive editor Jean MacKenzie, a former GlobalPost correspondent, said smartphones have “helped Afghans get in touch with the world”.
“Facebook in Afghanistan is a serious discussion forum, in part because of smartphones and other technologies that allow users to share on the spot,” she said.
She admits verifying stories and the “danger of disinformation” pose challenges but sees offering journalism training as one way to mitigate this by keeping unpaid volunteers committed to their task.
Singapore was ranked 153rd in the 2015 World Press Freedom Index, putting it 31 places below Afghanistan. But The Online Citizen’s volunteer reporters, photographers and videographers have been stimulating more open debate in the city-state for almost a decade.
Terry Xu, the website’s interim chief editor, agrees that smartphones are vital but also mentions forging links with academics and government insiders who can help verify stories. He said this becomes easier once you have committed volunteers and can convince the public of the need for independent news reported “from the perspective of citizens”.
Some citizen journalists have broken stories through a painstaking process of analysing what others have captured on film or camera.
Eliot Higgins scours hundreds of Syrian YouTube channels from his home in Leicester to piece together clues about the weapons being used by various groups. The conclusions he publishes in his Brown Moses blog have been widely reported in mainstream media: he helped expose the Syrian regime’s use of cluster bombs and detected Croatian weapons in the hands of rebels.
“It’s a boon to have multiple sources in places the professional media cannot penetrate, but it’s a challenge to make sure that the information is reliable.”
Higgins talks of a “growing global community of open source investigators” whose methodologies can be used in many investigations “even if it’s not in their own backyard”. He is especially excited by online Russian language communities using such tactics to examine the Ukraine conflict and Russia’s bombing of Syria.
But with all the information reaching the public via citizen journalists, can we trust their reports as much as those from established media organisations?
Tom Felle, acting director of interactive and newspaper journalism at City University London, sees a risk of confusing citizen advocates or activists with citizen journalists.
“We’ve seen an awful lot that has been biased or even fabricated – in Syria all sides are seeking to exaggerate or ‘sex up’ stories,” he says. “We now need a much more questioning and dispassionate look at what citizen journalism is and who is doing it.”
In Neri’s view we should move on from the “never-ending debate” about what citizen journalism is to concentrate on the real world implications of stories being exposed.
What comes next are calculated crystals, not part of the piece
********
1.
Entry from the Alexandria database: Pm6Nd2TmMg after structural relaxation (PBE).

Computed properties:
The energy of formation is 1.09 eV per formula unit. The calculation puts the density of states at the Fermi level at 1.346 states/eV/atom. The value obtained for the electronic total energy is -4.30 eV per atom.

a b c (Å): 9.822 8.768 8.768
angles (deg): 116.22 95.18 95.18
Fractional coordinates of all 20 atoms:
Nd: 0.450 0.799 0.707
Nd: 0.050 0.293 0.201
Nd: 0.550 0.201 0.293
Nd: 0.950 0.707 0.799
Pm: 0.384 0.497 0.297
Pm: 0.692 0.005 0.574
Pm: 0.308 0.995 0.426
Pm: 0.884 0.297 0.497
Pm: 0.808 0.426 0.995
Pm: 0.448 0.248 0.877
Pm: 0.616 0.503 0.703
Pm: 0.052 0.123 0.752
Pm: 0.116 0.703 0.503
Pm: 0.192 0.574 0.005
Pm: 0.948 0.877 0.248
Pm: 0.552 0.752 0.123
Mg: 0.750 0.595 0.405
Mg: 0.250 0.405 0.595
Tm: 0.250 0.985 0.015
Tm: 0.750 0.015 0.985

---

2.
Entry from the Alexandria database: CdSb2Ir after structural relaxation (PBE).

Computed properties:
The energy relative to the elements, uncorrected comes out at 0.187 eV/atom. The calculation puts the density of states at the Fermi level at 0.851 states/eV/atom. The value obtained for the electronic total energy is -4.32 eV per atom.

a b c (Å): 9.463 9.463 9.463
angles (deg): 20.75 20.75 20.75
Fractional coordinates of all 4 atoms:
Cd: 0.488 0.488 0.488
Sb: 0.017 0.017 0.017
Sb: 0.249 0.249 0.249
Ir: 0.746 0.746 0.746

---

3.
Entry from the Alexandria database: CdHg3H2Pd9 after structural relaxation (PBE).

Computed properties:
The calculation puts the density of states at the Fermi level at 0.635 states/eV/atom. The value obtained for the electronic total energy is -3.76 eV per atom.

a b c (Å): 5.685 5.685 9.107
angles (deg): 90.00 90.00 120.00
Fractional coordinates of all 15 atoms:
Hg: 0.000 0.000 0.000
Hg: 0.333 0.667 0.714
Hg: 0.667 0.333 0.286
Pd: 0.000 0.500 0.000
Pd: 0.167 0.334 0.259
Pd: 0.833 0.167 0.741
Pd: 0.334 0.167 0.741
Pd: 0.666 0.833 0.259
Pd: 0.500 0.500 0.000
Pd: 0.500 0.000 0.000
Pd: 0.833 0.666 0.741
Pd: 0.167 0.833 0.259
Cd: 0.000 0.000 0.500
H: 0.333 0.667 0.136
H: 0.667 0.333 0.864

---

4.
Entry from the Alexandria database: Ta2BePt after structural relaxation (PBE).

Computed properties:
The energy of formation is -1.32 eV per formula unit. The calculation puts the density of states at the Fermi level at 0.743 states/eV/atom. The value obtained for the electronic total energy is -8.70 eV per atom.

a b c (Å): 3.798 3.082 5.518
angles (deg): 73.78 90.00 90.00
Fractional coordinates of all 4 atoms:
Be: 0.000 0.701 0.474
Pt: 0.500 0.564 0.747
Ta: 0.000 0.947 0.980
Ta: 0.500 0.288 0.299

---

5.
Entry from the Alexandria database: PaCd4Pd5 after structural relaxation (PBE).

Computed properties:
The energy of formation is -4.23 eV per formula unit. The calculation puts the density of states at the Fermi level at 0.576 states/eV/atom. The value obtained for the electronic total energy is -4.33 eV per atom.

a b c (Å): 3.244 3.244 17.361
********
The piece goes on
“How do we make sure this sort of media is created and shared in a safe and ethical way when we think about graphic imagery or interviews that could put lives at risk?” she asks. “How do we ensure it has an impact on policies infringing the rights of people taking risks to make these videos?”
A free mobile app launched in June by legal group the International Bar Association could help address such issues by enabling witnesses to store evidence of atrocities in encrypted form with a time-stamp and GPS-fixed location.
MacKenzie from Paiwandgah, who has worked in Afghanistan for nearly a decade as a correspondent and journalism trainer, is philosophical about the complications of the job.
“The future of citizen journalism is still to be determined,” she said. “It’s a boon to have multiple sources in places the professional media cannot penetrate, but it’s a challenge to make sure that the information is reliable.”
Xu argues that in places such as Singapore, some bias in citizen journalism is actually desirable – in favour of freedom of information and more rights for citizens, for example. “We are not balanced,” he states. “We are the balance.”
These calculated crystals were left in the page by mistake:
=====
BaZn2Si: relaxed, PBE.

Summary:
electronic total energy = -18.9 eV/cell
energy relative to the elements, uncorrected = 0.1157 eV/atom
D(E_F) = 0.301 states/eV/atom
total magnetization = 0.000 μB/atom

a = 5.154 Å, b = 5.154 Å, c = 7.274 Å
α = 90.00°, β = 90.00°, γ = 90.00°
Space group I-4m2 (No. 119)
Symmetry-distinct sites (fractional):
1 Ba 0.000 0.000 0.000 x2
2 Zn 0.000 0.000 0.500 x2
3 Zn 0.000 0.500 0.750 x2
4 Si 0.000 0.500 0.250 x2

----------

(1)
First-principles (PBE-GGA) data for a relaxed structure of Li4InPd4, as listed in Alexandria.

a = 4.064 Å, b = 6.134 Å, c = 6.134 Å
α = 83.70°, β = 70.65°, γ = 70.65°
Atoms (fractional coordinates):
Li (0.679, 0.642, 0.000)
Li (0.321, 0.358, 0.000)
Li (0.679, 0.000, 0.642)
Li (0.321, 0.000, 0.358)
In (0.000, 0.000, 0.000)
Pd (0.670, 0.330, 0.330)
Pd (0.330, 0.670, 0.670)
Pd (0.000, 0.670, 0.330)
Pd (0.000, 0.330, 0.670)

Computed properties:
**E_form**: -0.428 eV/atom
**DOS at the Fermi energy**: 0.362 states/eV/atom

=====

(2)
First-principles (PBE-GGA) data for a relaxed structure of LiInPd4, as listed in Alexandria.

a = 4.803 Å, b = 8.623 Å, c = 4.787 Å
α = 90.00°, β = 73.36°, γ = 90.00°
Atoms (fractional coordinates):
Li (0.500, 0.000, 0.500)
Li (0.000, 0.500, 0.500)
In (0.000, 0.000, 0.000)
In (0.500, 0.500, 0.000)
Pd (0.000, 0.663, 0.000)
Pd (0.500, 0.163, 0.000)
Pd (0.500, 0.335, 0.500)
Pd (0.000, 0.835, 0.500)
Pd (0.000, 0.337, 0.000)
Pd (0.500, 0.837, 0.000)
Pd (0.500, 0.665, 0.500)
Pd (0.000, 0.165, 0.500)

Computed properties:
**Offset from the most stable computed form**: 0.036 eV per atom
**E_form**: -0.406 eV/atom
**DOS at the Fermi energy**: 0.515 states/eV/atom

=====

(3)
First-principles (PBE-GGA) data for a relaxed structure of LiInPd2, as listed in Alexandria.

a = 3.183 Å, b = 3.183 Å, c = 6.243 Å
α = 90.00°, β = 90.00°, γ = 90.00°
Atoms (fractional coordinates):
Li (0.500, 0.500, 0.000)
Pd (0.000, 0.000, 0.767)
Pd (0.000, 0.000, 0.233)
In (0.500, 0.500, 0.500)

Computed properties:
**E_form**: -0.509 eV/atom
**DOS at the Fermi energy**: 0.320 states/eV/atom

=====

(4)
First-principles (PBE-GGA) data for a relaxed structure of Li6InPd12, as listed in Alexandria.

a = 7.185 Å, b = 7.185 Å, c = 7.185 Å
α = 107.18°, β = 107.18°, γ = 107.18°
Atoms (fractional coordinates):
Li (0.641, 0.764, 0.352)
Li (0.648, 0.359, 0.236)
Li (0.236, 0.648, 0.359)
Li (0.359, 0.236, 0.648)
Li (0.352, 0.641, 0.764)
Li (0.764, 0.352, 0.641)
In (0.000, 0.000, 0.000)
Pd (0.981, 0.687, 0.573)
Pd (0.573, 0.981, 0.687)
Pd (0.687, 0.573, 0.981)
Pd (0.019, 0.313, 0.427)
Pd (0.427, 0.019, 0.313)
Pd (0.313, 0.427, 0.019)
Pd (0.038, 0.902, 0.334)
Pd (0.098, 0.666, 0.962)
Pd (0.666, 0.962, 0.098)
Pd (0.962, 0.098, 0.666)
Pd (0.902, 0.334, 0.038)
Pd (0.334, 0.038, 0.902)

Computed properties:
**Offset from the most stable computed form**: 0.129 eV per atom
**E_form**: -0.230 eV/atom
**DOS at the Fermi energy**: 0.524 states/eV/atom

=====

(5)
=====
The stories
Below are summaries of some of the most significant stories that have been uncovered by citizen journalism organisations around the world:
Afghanistan – Paiwandgah
The group recently revealed a new Taliban ‘charm offensive’ to win people over. Citizen journalists reported that the Taliban was adopting a softer approach in many regions under its new leader Mullah Akhtar Mohammad Mansour. Changes reported include allowing mobile phones and television and no longer interfering with NGO development projects. Some people even took selfies with Taliban fighters after they briefly captured the north-eastern city of Kunduz in late September. But one police chief told Paiwandgah the Taliban’s aim was purely to undermine the government and warned “they are fighting for another country”.
Jean Mackenzie, Paiwandgah’s executive editor, said: “This was not an easy or popular story – no one wants to make the Taliban out to be gentler than they are. But it’s a good example of how citizen journalism can work – citizens act as informants and we work with them to substantiate and professionalise the information.”
Brazil – Papo Reto, supported by WITNESS
Eduardo de Jesus Ferreira, 10, was shot and killed on his doorstep in a Rio favela in April this year. Papo Reto captured footage of the aftermath, including grieving relatives and the boy’s body lying in a pool of blood before being zipped up in a police body bag. Ferreira’s mother and other witnesses said he was shot by military police moments after going out with a mobile phone in his hand. The video shows a crowd of residents chanting ‘murderers’. Large protests against police brutality followed and president Dilma Rousseff called for those responsible to face justice. The officers involved are under internal investigation.
Priscila Neri, who oversees WITNESS’ work in Latin America, said: “Papo Reto were first on the scene and having a camera pointed at police can deter any attempt to alter the scene of the crime, which we know is common practice.
“Police violence in Brazil is rampant and marked by impunity. But in the few cases where there has been a semblance of justice, there was some sort of video angle.”
Sierra Leone – Moses Kortu, supported by UK-based citizen journalism group On Our Radar
In 2014 Moses Kortu, a citizen journalist, reported how the Ebola outbreak and government enforcement of a quarantine left Kailahun, near Sierra Leone’s border with Guinea, on the brink of famine. With markets, borders and banks closed, prices for dwindling supplies of rice and cooking oil soared and many people were going hungry. Kortu, filing his copy via SMS messages, questioned the government’s emphasis on military blockades, rather than addressing food shortages. Channel 4 News ran two of his stories.
Laurence Ivil, editorial assistant at On Our Radar, said: “With limited connectivity and government-imposed lock-downs, no-one was reporting events from the ground.
“Off-grid communities are too often completely cut-off from digital spaces, but the rich stories Moses shared gave vital perspective to a wider audience.”
Singapore – The Online Citizen
The Online Citizen published a series of stories about more than 50 Indian workers being deported without proper investigation following a riot. Trouble flared in December 2013 after an Indian national was run over and killed by a bus in the ‘Little India’ district of Singapore. Police vehicles were attacked in Singapore’s first riot for more than 40 years. But The Online Citizen reported that many of the deportees had not been involved or even been at the scene. Some were detained only after speaking via mobile phone to friends who had been arrested.
Terry Xu, the website’s interim chief editor, said: “Through us telling the side of the story of those deported, citizens could perhaps take the ‘fast’ response by the authorities to punish workers involved in the riot with a pinch of salt.”
Syria – Brown Moses, aka UK-based Eliot Higgins
Higgins identified Croatian arms, including machine guns, mortars and rockets, being shipped to Syrian opposition forces fighting President Bashar al-Assad’s army. He studied footage of weapons in Syria on YouTube and identified them through clues such as alphanumeric markings, their shapes and dimensions. His report about Croatia was followed up by the New York Times, which found the weapons had been bought by Saudi Arabia and smuggled in to Sunni rebels via Jordan.
“It ended up exposing what was meant to be a secret arms smuggling operation. That did a lot to raise my profile and make people aware of open source investigation,” said Higgins.
Ukraine – Liveuamap
This crowdsourcing website posts updates on the Ukraine-Russia conflict on a Google Maps interface. Set up by Ukrainian software developers, it looks for at least two independent sources for information via social media or on-the-ground reports before publishing. Posts are colour-coded: red if they favour Russia and its supporters and blue if Ukraine benefits. On 24 June 2014, it reported photographic evidence of a Buk missile system moving towards Ukraine – and quickly pointed to it as the likely cause of the MH17 crash the following month. The recent Dutch Safety Board report confirmed that a Russian-made Buk was to blame.
Rodion Rozhkovsky, CEO and chief editor of Liveuamap, said: “We were sure the MH17 was shot down with a Buk almost immediately. First, there were reports from the Ukrainian side of a plane shot down and when the pro-Russian side wrote on it, we added the event.”

Members of Papo Reto in Brazil. Photo © Victor Ribeiro/WITNESS